**Data**
┌──
Entry 1:
ORCA calculation (ωB97M-V/def2-TZVPD) on 23 unconnected molecules or ions with the total composition C74H211N29O23 in a non-equilibrium geometry.

Results
Kohn-Sham gap	8.84	eV
LUMO	0.09	eV
electronic energy	-6263.89227	Ha

Cartesian coordinates (Å):
C1 -24.616 -24.225 20.719
C2 -23.822 -23.251 19.836
C3 -24.483 -22.049 19.056
O1 -24.827 -22.474 17.774
C4 -25.393 -21.449 16.834
N1 -22.747 -22.779 20.691
H1 -23.963 -25.037 21.039
H2 -25.332 -24.764 20.098
H3 -25.183 -23.743 21.515
H4 -23.184 -23.800 19.143
H5 -23.793 -21.208 18.996
H6 -25.341 -21.637 19.588
H7 -25.243 -21.706 15.785
H8 -24.806 -20.530 16.807
H9 -26.441 -21.209 17.012
H10 -21.996 -22.524 20.066
H11 -22.422 -23.591 21.197
C5 -16.286 -15.352 28.870
C6 -17.072 -14.062 28.454
C7 -17.975 -14.277 27.169
O2 -18.476 -13.004 26.623
C8 -17.501 -11.938 26.417
N2 -18.004 -13.785 29.545
H12 -15.314 -15.521 28.407
H13 -16.878 -16.262 28.769
H14 -16.094 -15.404 29.941
H15 -16.332 -13.274 28.318
H16 -18.683 -15.084 27.355
H17 -17.310 -14.744 26.442
H18 -17.834 -11.033 25.911
H19 -16.650 -12.319 25.852
H20 -17.023 -11.604 27.338
H21 -17.818 -14.419 30.309
H22 -18.940 -13.785 29.165
C9 -23.531 -19.091 22.550
C10 -22.466 -19.937 23.262
C11 -22.169 -19.432 24.689
O3 -21.750 -18.081 24.659
C12 -21.238 -17.602 25.904
N3 -23.070 -21.250 23.421
H23 -24.421 -19.137 23.176
H24 -23.876 -19.281 21.533
H25 -23.076 -18.111 22.408
H26 -21.572 -20.005 22.642
H27 -21.395 -20.066 25.123
H28 -23.103 -19.473 25.250
H29 -20.559 -16.788 25.650
H30 -20.538 -18.279 26.393
H31 -22.009 -17.287 26.608
H32 -22.996 -21.807 22.582
H33 -22.469 -21.750 24.061
C13 -21.030 -11.639 27.481
C14 -21.824 -11.674 28.782
C15 -21.856 -13.041 29.585
O4 -23.090 -13.599 29.972
C16 -23.027 -14.825 30.595
N4 -21.625 -10.466 29.548
H34 -20.041 -11.847 27.890
H35 -21.259 -10.700 26.978
H36 -21.225 -12.444 26.773
H37 -22.901 -11.570 28.643
H38 -21.316 -12.983 30.530
H39 -21.166 -13.766 29.154
H40 -23.957 -15.135 31.072
H41 -22.400 -14.849 31.487
H42 -22.741 -15.656 29.950
H43 -22.013 -10.584 30.474
H44 -22.006 -9.640 29.110
C17 -18.741 -17.907 31.307
C18 -19.508 -17.216 32.421
C19 -19.592 -15.720 32.103
O5 -18.302 -15.128 32.006
C20 -17.373 -15.134 33.037
N5 -20.813 -17.785 32.479
H45 -19.213 -17.713 30.344
H46 -18.723 -18.973 31.537
H47 -17.739 -17.479 31.307
H48 -18.976 -17.165 33.371
H49 -20.283 -15.192 32.759
H50 -19.985 -15.662 31.088
H51 -16.451 -14.857 32.526
H52 -17.300 -16.105 33.526
H53 -17.533 -14.336 33.762
H54 -21.381 -17.054 32.885
H55 -20.860 -18.517 33.173
C21 -20.755 -18.037 19.986
C22 -19.612 -17.716 20.892
C23 -19.798 -16.400 21.689
O6 -20.319 -15.309 20.941
C24 -19.809 -14.099 21.387
N6 -19.413 -18.876 21.852
H56 -20.824 -17.373 19.125
H57 -21.627 -17.851 20.613
H58 -20.983 -19.027 19.592
H59 -18.689 -17.556 20.335
H60 -18.813 -16.196 22.107
H61 -20.234 -16.460 22.687
H62 -20.182 -13.313 20.731
H63 -18.754 -14.184 21.126
H64 -20.171 -13.988 22.409
H65 -20.329 -19.211 22.115
H66 -18.707 -18.656 22.540
C25 -26.302 -15.269 20.879
C26 -25.762 -16.228 19.771
C27 -24.203 -16.282 19.597
O7 -23.875 -15.021 19.011
C28 -22.551 -14.944 18.483
N7 -26.222 -17.517 20.175
H67 -26.010 -15.617 21.870
H68 -27.392 -15.277 20.896
H69 -26.039 -14.232 20.673
H70 -26.183 -15.999 18.792
H71 -23.920 -17.194 19.071
H72 -23.711 -16.393 20.563
H73 -22.035 -15.196 19.410
H74 -22.281 -13.903 18.307
H75 -22.223 -15.650 17.720
H76 -27.130 -17.331 20.575
H77 -25.623 -17.721 20.962
C29 -28.190 -17.390 17.242
C30 -27.283 -18.496 16.890
C31 -27.398 -18.803 15.416
O8 -28.648 -19.414 15.096
C32 -28.801 -19.725 13.647
N8 -25.947 -18.191 17.316
H78 -27.763 -16.413 17.014
H79 -28.467 -17.438 18.295
H80 -29.164 -17.446 16.757
H81 -27.633 -19.393 17.401
H82 -26.645 -19.540 15.139
H83 -27.516 -17.964 14.730
H84 -28.755 -18.840 13.013
H85 -29.742 -20.212 13.392
H86 -28.111 -20.464 13.238
H87 -25.667 -17.292 16.949
H88 -26.065 -18.035 18.307
C33 -21.133 -19.435 29.406
C34 -21.175 -20.722 28.590
C35 -19.850 -21.548 28.677
└──
**Activity**
Next, echo the calculation results further up from the line with "H31 -22.009" to the end without altering anything.
**Reply**
H31 -22.009 -17.287 26.608
H32 -22.996 -21.807 22.582
H33 -22.469 -21.750 24.061
C13 -21.030 -11.639 27.481
C14 -21.824 -11.674 28.782
C15 -21.856 -13.041 29.585
O4 -23.090 -13.599 29.972
C16 -23.027 -14.825 30.595
N4 -21.625 -10.466 29.548
H34 -20.041 -11.847 27.890
H35 -21.259 -10.700 26.978
H36 -21.225 -12.444 26.773
H37 -22.901 -11.570 28.643
H38 -21.316 -12.983 30.530
H39 -21.166 -13.766 29.154
H40 -23.957 -15.135 31.072
H41 -22.400 -14.849 31.487
H42 -22.741 -15.656 29.950
H43 -22.013 -10.584 30.474
H44 -22.006 -9.640 29.110
C17 -18.741 -17.907 31.307
C18 -19.508 -17.216 32.421
C19 -19.592 -15.720 32.103
O5 -18.302 -15.128 32.006
C20 -17.373 -15.134 33.037
N5 -20.813 -17.785 32.479
H45 -19.213 -17.713 30.344
H46 -18.723 -18.973 31.537
H47 -17.739 -17.479 31.307
H48 -18.976 -17.165 33.371
H49 -20.283 -15.192 32.759
H50 -19.985 -15.662 31.088
H51 -16.451 -14.857 32.526
H52 -17.300 -16.105 33.526
H53 -17.533 -14.336 33.762
H54 -21.381 -17.054 32.885
H55 -20.860 -18.517 33.173
C21 -20.755 -18.037 19.986
C22 -19.612 -17.716 20.892
C23 -19.798 -16.400 21.689
O6 -20.319 -15.309 20.941
C24 -19.809 -14.099 21.387
N6 -19.413 -18.876 21.852
H56 -20.824 -17.373 19.125
H57 -21.627 -17.851 20.613
H58 -20.983 -19.027 19.592
H59 -18.689 -17.556 20.335
H60 -18.813 -16.196 22.107
H61 -20.234 -16.460 22.687
H62 -20.182 -13.313 20.731
H63 -18.754 -14.184 21.126
H64 -20.171 -13.988 22.409
H65 -20.329 -19.211 22.115
H66 -18.707 -18.656 22.540
C25 -26.302 -15.269 20.879
C26 -25.762 -16.228 19.771
C27 -24.203 -16.282 19.597
O7 -23.875 -15.021 19.011
C28 -22.551 -14.944 18.483
N7 -26.222 -17.517 20.175
H67 -26.010 -15.617 21.870
H68 -27.392 -15.277 20.896
H69 -26.039 -14.232 20.673
H70 -26.183 -15.999 18.792
H71 -23.920 -17.194 19.071
H72 -23.711 -16.393 20.563
H73 -22.035 -15.196 19.410
H74 -22.281 -13.903 18.307
H75 -22.223 -15.650 17.720
H76 -27.130 -17.331 20.575
H77 -25.623 -17.721 20.962
C29 -28.190 -17.390 17.242
C30 -27.283 -18.496 16.890
C31 -27.398 -18.803 15.416
O8 -28.648 -19.414 15.096
C32 -28.801 -19.725 13.647
N8 -25.947 -18.191 17.316
H78 -27.763 -16.413 17.014
H79 -28.467 -17.438 18.295
H80 -29.164 -17.446 16.757
H81 -27.633 -19.393 17.401
H82 -26.645 -19.540 15.139
H83 -27.516 -17.964 14.730
H84 -28.755 -18.840 13.013
H85 -29.742 -20.212 13.392
H86 -28.111 -20.464 13.238
H87 -25.667 -17.292 16.949
H88 -26.065 -18.035 18.307
C33 -21.133 -19.435 29.406
C34 -21.175 -20.722 28.590
C35 -19.850 -21.548 28.677